

I’ve always called them “birders.” But there really should be a more interesting term for a group of bird watchers. Yesterday I heard the term “featherheads” for the first time. I kind of like that one.

Here the entry breaks off for materials data =
/*
A plane-wave DFT calculation with PBE was carried out for Na8NbIn3Si4P2O24 after structural relaxation.

Cell: 9.2491 9.2542 22.5382 Å, 89.95 89.93 119.99°
Closest atoms and distances in Å follow each position.
Positions (direct):
In  0.0004  0.0001  0.3508  6 O 2.13-2.17
In  0.3334  0.6631  0.5143  6 O 2.09-2.29
In  0.0011  0.0039  0.8485  6 O 2.09-2.21
In  0.6658  0.3334  0.6824  6 O 2.08-2.30
In  0.6678  0.3366  0.1816  6 O 2.06-2.25
In  0.3342  0.6662  0.3225  6 O 2.10-2.34
In  0.0025  0.9992  0.1466  6 O 2.16-2.28
In  0.3312  0.6643  0.0159  6 O 2.08-2.28
In  0.9941  0.0026  0.6485  6 O 2.13-2.31
O  0.8523  0.5277  0.7476  1 P 1.55
O  0.2014  0.0304  0.5844  1 P 1.55
O  0.3841  0.4841  0.3567  1 Si 1.64
O  0.6849  0.5270  0.2473  1 P 1.56
O  0.1592  0.4735  0.2519  1 P 1.56
O  0.7684  0.9466  0.6926  1 Si 1.63
O  0.1028  0.6170  0.3570  1 Si 1.64
O  0.5528  0.8497  0.4747  1 Si 1.62
O  0.1933  0.9724  0.1920  1 P 1.56
O  0.2235  0.1856  0.8099  1 Si 1.62
O  0.1347  0.5000  0.8616  1 Si 1.68
O  0.0084  0.1844  0.9127  1 Si 1.62
O  0.8188  0.9952  0.4113  1 Si 1.63
O  0.6337  0.4890  0.9229  1 Si 1.68
O  0.3111  0.4865  0.7597  1 Si 1.69
O  0.8846  0.3632  0.6452  1 Si 1.62
O  0.5255  0.6870  0.2524  1 P 1.56
O  0.5044  0.3479  0.4260  1 Si 1.67
O  0.6474  0.1544  0.4260  1 Si 1.67
O  0.6388  0.1157  0.1406  1 P 1.53
O  0.0410  0.8154  0.6956  1 P 1.54
O  0.3145  0.8380  0.2527  1 P 1.56
O  0.4706  0.1543  0.5292  1 P 1.57
O  0.6731  0.1600  0.7466  1 Si 1.64
O  0.1468  0.5037  0.5800  1 Si 1.63
O  0.8372  0.3168  0.5281  1 Si 1.69
O  0.9743  0.1899  0.3042  1 P 1.54
O  0.7820  0.8097  0.1920  1 P 1.56
O  0.8097  0.7860  0.3044  1 P 1.54
O  0.1466  0.4437  0.9777  1 Si 1.61
O  0.8388  0.3125  0.2465  1 P 1.56
O  0.9719  0.1627  0.5818  1 Si 1.64
O  0.4773  0.1564  0.2460  1 P 1.56
O  0.1790  0.2233  0.6919  1 Si 1.64
O  0.8467  0.4951  0.4256  1 Si 1.68
O  0.8100  0.0312  0.8102  1 Si 1.62
O  0.9757  0.7817  0.8074  1 P 1.54
O  0.0247  0.2162  0.1916  1 P 1.56
O  0.0040  0.8233  0.4111  1 Si 1.63
O  0.1891  0.1624  0.0826  1 Si 1.64
O  0.3538  0.8645  0.5783  1 P 1.54
O  0.4988  0.6358  0.8622  1 Si 1.68
O  0.1492  0.6540  0.0800  1 Si 1.63
O  0.3621  0.8614  0.8618  1 Si 1.67
O  0.6324  0.5198  0.6449  1 Si 1.62
O  0.2930  0.4425  0.4741  1 Si 1.62
O  0.5044  0.6542  0.5798  1 Si 1.63
O  0.6851  0.1581  0.0284  1 P 1.58
O  0.4882  0.3296  0.7474  1 Si 1.64
O  0.5122  0.8674  0.0785  1 P 1.54
O  0.4788  0.3632  0.1446  1 Si 1.62
O  0.5567  0.7060  0.9779  1 Si 1.60
O  0.1666  0.6889  0.7586  1 P 1.58
O  0.4777  0.3125  0.0270  1 Si 1.70
O  0.3000  0.8536  0.9784  1 Si 1.61
O  0.8345  0.5185  0.0269  1 Si 1.71
O  0.4727  0.1120  0.6413  1 P 1.54
O  0.8456  0.8064  0.5833  1 Si 1.64
O  0.5151  0.8979  0.3569  1 Si 1.64
O  0.8167  0.8203  0.9103  1 Si 1.61
O  0.8882  0.5164  0.1441  1 Si 1.62
O  0.8512  0.3616  0.9230  1 Si 1.67
O  0.1753  0.1793  0.4108  1 Si 1.63
O  0.9620  0.8054  0.0827  1 Si 1.65
O  0.1520  0.7055  0.4746  1 Si 1.61
*/

Message to City Daily Photo bloggers: The photo challenge for February 1st is If you had to leave forever the city from which you usually post, what would you miss most?


Four ducks

I took a number of shots of these ducks as they swam in a shallow pond. It wasn’t until they took off, however, that they looked interesting to me.

Message to City Daily Photo bloggers: The photo challenge for February 1st is If you had to leave forever the city from which you usually post, what would you miss most?

Winter bird

**These materials data were left in the text by mistake:**
-- begin --
No. 1
A plane-wave DFT calculation with PBE+U was carried out for a relaxed RbFeF3 crystal.

Structure (POSCAR):
```
RbFeF3
1.0
4.221 0.000 0.000
0.000 4.221 0.000
0.000 0.000 4.221
Rb Fe F
1 1 3
Cartesian
0.000 0.000 0.000 Rb
2.110 2.110 2.110 Fe
0.000 2.110 2.110 F
2.110 0.000 2.110 F
2.110 2.110 0.000 F
```

Results
Formation energy (eV/atom): -2.49
Corrected total energy (MP2020 scheme) (eV/atom): -5.529
Energy (eV for the cell shown): -24.00



No. 2
A plane-wave DFT calculation with PBE+U was carried out for a relaxed Na4MgMo2O8 crystal.

Structure (POSCAR):
```
Na4MgMo2O8
1.0
6.496 0.000 0.000
-1.343 6.560 0.000
-2.556 -3.288 5.668
Na Mg Mo O
4 1 2 8
Cartesian
0.000 0.000 0.000 Na
-1.937 4.483 2.575 Na
2.110 5.955 0.014 Na
4.089 1.453 2.583 Na
-1.489 -0.315 5.226 Mg
1.070 2.964 2.406 Mo
1.756 -0.313 5.027 Mo
-0.524 2.755 3.296 O
1.261 1.633 1.029 O
0.110 -0.502 4.103 O
0.872 4.301 1.038 O
4.540 1.398 0.313 O
4.080 4.553 0.308 O
2.669 3.174 3.289 O
3.404 -0.128 4.107 O
```

Results
Formation energy (eV/atom): -2.05
Corrected total energy (MP2020 scheme) (eV/atom): -6.590
E above lowest polymorph (meV per atom): 0
Energy (eV for the cell shown): -86.94



No. 3
A plane-wave DFT calculation with PBE+U was carried out for a relaxed LiTl4Ni4O12 crystal.

Structure (POSCAR):
```
LiTl4Ni4O12
1.0
5.601 0.000 0.000
0.603 5.569 0.000
0.184 0.133 7.622
Li Tl Ni O
1 4 4 12
Cartesian
0.000 0.000 0.000 Li
1.466 2.075 0.013 Tl
1.531 1.481 3.836 Tl
4.301 4.529 7.457 Tl
4.614 4.279 3.709 Tl
1.811 4.515 5.607 Ni
1.750 4.556 1.975 Ni
4.226 1.710 1.909 Ni
4.363 1.711 5.691 Ni
0.454 0.781 5.937 O
0.387 0.772 1.586 O
1.225 4.792 3.763 O
2.005 4.296 0.052 O
2.523 2.798 2.237 O
2.682 2.706 5.483 O
2.938 0.121 2.406 O
3.652 5.470 5.338 O
3.893 1.343 7.583 O
4.860 2.070 3.832 O
5.331 3.476 1.464 O
5.691 3.441 6.136 O
```

Results
Formation energy (eV/atom): -0.96
Corrected total energy (MP2020 scheme) (eV/atom): -5.433
E above lowest polymorph (meV per atom): 28
Energy (eV for the cell shown): -95.69



No. 4
A plane-wave DFT calculation with PBE+U was carried out for a relaxed Na7Cr3CoP6O24 crystal.

Structure (POSCAR):
```
Na7Cr3CoP6O24
1.0
8.886 0.000 0.000
4.435 7.700 0.000
4.434 -2.552 14.509
Na Cr Co P O
14 6 2 12 48
Cartesian
0.000 0.000 0.000 Na
4.425 2.498 7.234 Na
6.094 4.876 5.423 Na
6.155 -0.268 12.618 Na
3.255 -0.514 3.639 Na
10.482 5.559 9.858 Na
6.108 2.952 2.615 Na
8.856 3.263 6.244 Na
10.405 2.284 9.122 Na
6.053 -0.216 1.694 Na
12.113 1.365 11.846 Na
12.122 6.531 4.539 Na
10.483 4.131 0.931 Na
10.553 -0.969 8.205 Na
8.650 1.217 13.666 Cr
7.862 0.780 8.008 Cr
7.900 5.936 0.678 Cr
13.128 3.813 10.151 Cr
12.286 -1.808 11.598 Cr
12.302 3.321 4.323 Cr
8.672 6.383 6.517 Co
8.698 1.246 2.839 Co
4.729 0.474 9.370 P
4.747 5.566 2.061 P
7.337 4.065 8.758 P
2.930 1.517 1.427 P
6.028 1.225 5.092 P
10.473 3.789 12.370 P
9.173 -0.592 10.859 P
9.173 4.551 3.570 P
11.768 0.062 14.448 P
11.800 5.149 7.228 P
10.457 0.773 5.733 P
14.931 3.356 12.976 P
-- stop --


I’m fairly certain this is a song sparrow. They’re year round residents here and are common. They like marshy areas such as where I found this one. I’m always impressed that little critters like this can survive outdoors when I get chilled even wearing layers.

Message to City Daily Photo bloggers: The photo challenge for February 1st is If you had to leave forever the city from which you usually post, what would you miss most?

Going backwards

Barn n Clouds

Sometimes I drive myself crazy. And I do it especially — and literally — driving. I see a great shot, then try to figure out if I should stop and take a picture. Then I look for a place to stop. And now, since I’m some distance from the shot, I have to figure out where to turn around. Occasionally the shot is still there by the time I get back.

Monday the sky was full of cloudy drama. The light was great. Then I spent a long time. Driving. Myself. Crazy.

Message to City Daily Photo bloggers: The photo challenge for February 1st is If you had to leave forever the city from which you usually post, what would you miss most?

Running start

This Old Tree

This is a willow tree I see often. It’s at an entrance to the Dungeness Recreation Area. I’ve resolved repeatedly to photograph it in various seasons. Let’s see if I get a running start with this shot.

Message to City Daily Photo bloggers: The photo challenge for February 1st is If you had to leave forever the city from which you usually post, what would you miss most?


Rewired 2

We got a new internet service provider recently. This was a big deal for us. There aren’t a lot of choices where we live. And once the change is made there’s a web of relationships maintained by email addresses that need to be altered. Good luck if you haven’t kept track of passwords that allow you to notify accounts.

A friend of ours was going to move recently, then changed her mind. One reason? The hassle of changing her internet service and waiting a couple of weeks to get the new hook-up. Some of us are pretty dependent on the internet. Blogging…Skype…email…shopping…smart phone wifi…travel…Netflix…research…social media…

We had to make the change. I’ll try to be diplomatic about it. Our previous internet service provider powered our service with a hamster running on a small wheel. The hamster was slowly dying. We had to put it out of its misery. Above is the new radio that powers our connection to the wider world. It’s a beautiful thing.

Message to City Daily Photo bloggers: The photo challenge for February 1st is If you had to leave forever the city from which you usually post, what would you miss most?